## Assignment
Find the line further down that holds "0.346 [4", then restate that line and all lines after it there.
## Excerpt
=====
1.
# CaSnS3
Computed PXRD pattern, copper Kα. Input: a cell relaxed with PBE.
Intensities are scaled so that the largest is 100.

Principal peaks in the range 5 to 70 degrees two-theta, sorted by position:
index  2theta  intensity
1 0 1  15.28  100
0 1 2  16.19  23
1 1 0  26.07  45
0 1 8  29.06  28
2 0 5  34.06  21
1 1 9  38.57  44
2 0 8  39.43  31
2 2 0  53.62  24

Structural model:
Cell lengths 6.8370, 6.8370, 28.7527 Å; angles 90.00, 90.00, 120.00 degrees
Space group R-3m (No. 166, hexagonal axes)
One atom of each set of equivalent atoms:
Ca  0.0000  0.0000  0.0000 [3 per cell]
Ca  0.0000  0.0000  0.2585 [6 per cell]
Sn  0.0000  0.0000  0.3918 [6 per cell]
Sn  0.0000  0.0000  0.5000 [3 per cell]
S  0.0000  0.5000  0.0000 [9 per cell]
S  0.0066  0.5033  0.7750 [18 per cell]

---

2.
# Ca4Sn3S10
Computed PXRD pattern, copper Kα. Input: a cell relaxed with PBE.
Intensities are scaled so that the largest is 100.

Principal peaks in the range 5 to 70 degrees two-theta, sorted by position:
index  2theta  intensity
0 0 6  16.06  56
1 0 1  17.86  73
1 1 0  25.07  73
1 0 7  25.87  71
2 0 0  35.75  100
1 0 13  39.67  55
2 1 7  44.65  35
2 1 13  54.46  43

Structural model:
Cell lengths 5.024, 5.024, 33.115 Å; angles 90.00, 90.00, 90.00 degrees
Space group I4/mmm (No. 139)
One atom of each set of equivalent atoms:
Ca  0.000  0.000  0.066 [4 per cell]
Ca  0.000  0.000  0.193 [4 per cell]
Sn  0.000  0.000  0.346 [4 per cell]
Sn  0.000  0.000  0.500 [2 per cell]
S  0.000  0.000  0.275 [4 per cell]
S  0.000  0.000  0.425 [4 per cell]
S  0.000  0.500  0.000 [4 per cell]
S  0.000  0.500  0.137 [8 per cell]

---

3.
# Ca4SnS6
Computed PXRD pattern, copper Kα. Input: a cell relaxed with PBE.
Intensities are scaled so that the largest is 100.

Principal peaks in the range 5 to 70 degrees two-theta, sorted by position:
index  2theta  intensity
1 1 -1  14.20  100
2 0 0  14.33  46
2 0 -2  15.85  59
1 1 1  16.74  42
1 1 -3  23.05  50
1 1 3  27.76  74
0 0 4  28.62  98
1 1 5  41.35  49

Structural model:
Cell lengths 13.385, 7.521, 13.504 Å; angles 90.00, 112.57, 90.00 degrees
Space group Cc (No. 9)
One atom of each set of equivalent atoms:
Ca  0.000  0.108  0.000 [4 per cell]
Ca  0.145  0.388  0.494 [4 per cell]
Ca  0.199  0.129  0.813 [4 per cell]
Ca  0.373  0.181  0.151 [4 per cell]
Sn  0.439  0.278  0.747 [4 per cell]
S  0.051  0.205  0.612 [4 per cell]
S  0.131  0.220  0.303 [4 per cell]
S  0.181  0.258  0.992 [4 per cell]
S  0.351  0.202  0.560 [4 per cell]
S  0.354  0.470  0.289 [4 per cell]
S  0.408  0.019  0.839 [4 per cell]

---

4.
# CaSnS3
Computed PXRD pattern, copper Kα. Input: a cell relaxed with PBE.
Intensities are scaled so that the largest is 100.

Principal peaks in the range 5 to 70 degrees two-theta, sorted by position:
index  2theta  intensity
0 0 2  12.84  53
1 0 2  16.71  44
1 1 1  26.36  64
2 1 1  32.39  46
2 1 2  34.33  100
0 1 5  40.24  41
0 2 0  47.32  34
3 1 4  48.36  36

Structural model:
Cell lengths 8.307, 3.843, 13.791 Å; angles 90.00, 90.00, 90.00 degrees
Space group Pnma (No. 62)
One atom of each set of equivalent atoms:
Ca  0.062  0.250  0.181 [4 per cell]
Sn  0.179  0.750  0.444 [4 per cell]
S  0.018  0.750  0.609 [4 per cell]
S  0.143  0.750  0.010 [4 per cell]
S  0.198  0.250  0.781 [4 per cell]

---

5.
# CaSnS3
Computed PXRD pattern, copper Kα. Input: a cell relaxed with PBE.
Intensities are scaled so that the largest is 100.

Principal peaks in the range 5 to 70 degrees two-theta, sorted by position:
index  2theta  intensity
4 0 -3  17.12  18
3 1 1  18.13  26
1 1 3  23.37  58
7 1 -3  25.15  100
1 1 -4  26.35  18
8 2 0  35.80  55
0 0 7  43.17  22
7 3 -3  44.26  19

Structural model:
Cell lengths 31.307, 7.096, 16.189 Å; angles 90.00, 115.02, 90.00 degrees
Space group C2 (No. 5)
One atom of each set of equivalent atoms:
Ca  0.000  0.000  0.000 [2 per cell]
Ca  0.000  0.442  0.500 [2 per cell]
Ca  0.120  0.562  0.076 [4 per cell]
Ca  0.123  0.594  0.812 [4 per cell]
Ca  0.124  0.046  0.642 [4 per cell]
=====
## Outcome
Sn  0.000  0.000  0.346 [4 per cell]
Sn  0.000  0.000  0.500 [2 per cell]
S  0.000  0.000  0.275 [4 per cell]
S  0.000  0.000  0.425 [4 per cell]
S  0.000  0.500  0.000 [4 per cell]
S  0.000  0.500  0.137 [8 per cell]

---

3.
# Ca4SnS6
Computed PXRD pattern, copper Kα. Input: a cell relaxed with PBE.
Intensities are scaled so that the largest is 100.

Principal peaks in the range 5 to 70 degrees two-theta, sorted by position:
index  2theta  intensity
1 1 -1  14.20  100
2 0 0  14.33  46
2 0 -2  15.85  59
1 1 1  16.74  42
1 1 -3  23.05  50
1 1 3  27.76  74
0 0 4  28.62  98
1 1 5  41.35  49

Structural model:
Cell lengths 13.385, 7.521, 13.504 Å; angles 90.00, 112.57, 90.00 degrees
Space group Cc (No. 9)
One atom of each set of equivalent atoms:
Ca  0.000  0.108  0.000 [4 per cell]
Ca  0.145  0.388  0.494 [4 per cell]
Ca  0.199  0.129  0.813 [4 per cell]
Ca  0.373  0.181  0.151 [4 per cell]
Sn  0.439  0.278  0.747 [4 per cell]
S  0.051  0.205  0.612 [4 per cell]
S  0.131  0.220  0.303 [4 per cell]
S  0.181  0.258  0.992 [4 per cell]
S  0.351  0.202  0.560 [4 per cell]
S  0.354  0.470  0.289 [4 per cell]
S  0.408  0.019  0.839 [4 per cell]

---

4.
# CaSnS3
Computed PXRD pattern, copper Kα. Input: a cell relaxed with PBE.
Intensities are scaled so that the largest is 100.

Principal peaks in the range 5 to 70 degrees two-theta, sorted by position:
index  2theta  intensity
0 0 2  12.84  53
1 0 2  16.71  44
1 1 1  26.36  64
2 1 1  32.39  46
2 1 2  34.33  100
0 1 5  40.24  41
0 2 0  47.32  34
3 1 4  48.36  36

Structural model:
Cell lengths 8.307, 3.843, 13.791 Å; angles 90.00, 90.00, 90.00 degrees
Space group Pnma (No. 62)
One atom of each set of equivalent atoms:
Ca  0.062  0.250  0.181 [4 per cell]
Sn  0.179  0.750  0.444 [4 per cell]
S  0.018  0.750  0.609 [4 per cell]
S  0.143  0.750  0.010 [4 per cell]
S  0.198  0.250  0.781 [4 per cell]

---

5.
# CaSnS3
Computed PXRD pattern, copper Kα. Input: a cell relaxed with PBE.
Intensities are scaled so that the largest is 100.

Principal peaks in the range 5 to 70 degrees two-theta, sorted by position:
index  2theta  intensity
4 0 -3  17.12  18
3 1 1  18.13  26
1 1 3  23.37  58
7 1 -3  25.15  100
1 1 -4  26.35  18
8 2 0  35.80  55
0 0 7  43.17  22
7 3 -3  44.26  19

Structural model:
Cell lengths 31.307, 7.096, 16.189 Å; angles 90.00, 115.02, 90.00 degrees
Space group C2 (No. 5)
One atom of each set of equivalent atoms:
Ca  0.000  0.000  0.000 [2 per cell]
Ca  0.000  0.442  0.500 [2 per cell]
Ca  0.120  0.562  0.076 [4 per cell]
Ca  0.123  0.594  0.812 [4 per cell]
Ca  0.124  0.046  0.642 [4 per cell]